Input:
┌──
! YNiF2 PBE+U optimized geometry; values from VASP
! - Energy relative to the lowest polymorph listed for this composition: 1.11 eV per formula unit
! - Calculated density: 5.9 g cm⁻³
! - Spin magnetization: 0.000 μB/f.u.
&SYSTEM
  ibrav = 0, nat = 4, ntyp = 3
/
ATOMIC_SPECIES
Y 88.91 Y.upf
Ni 58.69 Ni.upf
F 19.00 F.upf
CELL_PARAMETERS angstrom
0.000 2.961 2.961
2.961 0.000 2.961
2.961 2.961 0.000
ATOMIC_POSITIONS crystal
Y 0.000 0.000 0.000
Ni 0.500 0.500 0.500
F 0.250 0.250 0.250
F 0.750 0.750 0.750

=====

[1]
5
Lattice="5.2771 0.0000 0.0000 0.0000 5.2771 0.0000 0.0000 0.0000 5.2771" Properties=species:S:1:pos:R:3 comment="Gd3PuFe | Alexandria | PBE | optimized geometry" dos_ef_per_ev_fu=12.95 formation_enthalpy_0k_ev_per_atom=0.208 pbc="T T T"
Gd 0.0000 0.0000 2.6386
Gd 0.0000 2.6386 0.0000
Gd 2.6386 0.0000 0.0000
Pu 2.6386 2.6386 2.6386
Fe 0.0000 0.0000 0.0000

***

[2]
4
Lattice="3.4075 0.0000 0.0000 0.0000 3.4075 0.0000 0.0000 0.0000 8.6144" Properties=species:S:1:pos:R:3 comment="Gd2PuFe | Alexandria | PBE | optimized geometry" dos_ef_per_ev_fu=10.32 formation_enthalpy_0k_ev_per_atom=0.189 pbc="T T T"
Gd 0.0000 0.0000 1.6361
Gd 0.0000 0.0000 6.9784
Pu 1.7037 1.7037 4.3072
Fe 1.7037 1.7037 0.0000

***

[3]
4
Lattice="4.7538 0.0000 0.0000 0.0000 4.7538 0.0000 0.0000 0.0000 3.3333" Properties=species:S:1:pos:R:3 comment="GdPuFe2 | Alexandria | PBE | optimized geometry" dos_ef_per_ev_fu=7.77 formation_enthalpy_0k_ev_per_atom=0.155 de_polymorph_mev_per_atom=64.8 pbc="T T T"
Gd 0.0000 0.0000 0.0000
Pu 2.3769 2.3769 0.0000
Fe 0.0000 2.3769 1.6666
Fe 2.3769 0.0000 1.6666

***

[4]
4
Lattice="0.0000 3.3449 3.3449 3.3449 0.0000 3.3449 3.3449 3.3449 0.0000" Properties=species:S:1:pos:R:3 comment="GdPuFe2 | Alexandria | PBE | optimized geometry" dos_ef_per_ev_fu=5.99 formation_enthalpy_0k_ev_per_atom=0.131 de_polymorph_mev_per_atom=40.6 pbc="T T T"
Gd 0.0000 0.0000 0.0000
Pu 3.3449 3.3449 3.3449
Fe 1.6725 1.6725 1.6725
Fe 5.0174 5.0174 5.0174

***

[5]
4
Lattice="3.3385 0.0000 0.0000 0.0000 3.3385 0.0000 0.0000 0.0000 6.7886" Properties=species:S:1:pos:R:3 comment="GdPuFe2 | Alexandria | PBE | optimized geometry" dos_ef_per_ev_fu=8.41 formation_enthalpy_0k_ev_per_atom=0.091 de_polymorph_mev_per_atom=0.0 pbc="T T T"
Gd 0.0000 0.0000 0.0000
Pu 0.0000 0.0000 3.3943
Fe 1.6692 1.6692 1.9880
Fe 1.6692 1.6692 4.8006

***

[6]
4
Lattice="1.5148 0.8746 9.7703 -1.5148 0.8746 9.7703 0.0000 -1.7491 9.7703" Properties=species:S:1:pos:R:3 comment="GdPuFe2 | Alexandria | PBE | optimized geometry" dos_ef_per_ev_fu=10.85 formation_enthalpy_0k_ev_per_atom=0.671 de_polymorph_mev_per_atom=580.1 pbc="T T T"
Gd 0.0000 0.0000 0.0000
Pu 0.0000 0.0000 14.6555
Fe 0.0000 0.0000 7.3210
Fe 0.0000 0.0000 21.9900

***

[7]
4
Lattice="0.0000 3.3942 3.3942 3.3942 0.0000 3.3942 3.3942 3.3942 0.0000" Properties=species:S:1:pos:R:3 comment="GdPuFeRu | Alexandria | PBE | optimized geometry" dos_ef_per_ev_fu=5.63 formation_enthalpy_0k_ev_per_atom=-0.057 pbc="T T T"
Gd 0.0000 0.0000 0.0000
Pu 3.3942 3.3942 3.3942
Fe 1.6971 1.6971 1.6971
Ru 5.0913 5.0913 5.0913

***

[8]
4
Lattice="0.0000 3.3864 3.3864 3.3864 0.0000 3.3864 3.3864 3.3864 0.0000" Properties=species:S:1:pos:R:3 comment="GdPuFeTc | Alexandria | PBE | optimized geometry" dos_ef_per_ev_fu=6.08 formation_enthalpy_0k_ev_per_atom=0.110 pbc="T T T"
Gd 0.0000 0.0000 0.0000
Pu 3.3864 3.3864 3.3864
Fe 1.6932 1.6932 1.6932
Tc 5.0796 5.0796 5.0796

***

[9]
6
Lattice="0.0000 3.4971 3.4971 3.4971 0.0000 3.4971 3.4971 3.4971 0.0000" Properties=species:S:1:pos:R:3 comment="GdFe4Re | Alexandria | PBE | optimized geometry" dos_ef_per_ev_fu=8.03 formation_enthalpy_0k_ev_per_atom=0.172 pbc="T T T"
Gd 0.0000 0.0000 0.0000
Fe 2.6342 2.6342 2.6342
Fe 4.3601 4.3601 2.6342
Fe 4.3601 2.6342 4.3601
Fe 2.6342 4.3601 4.3601
Re 5.2457 5.2457 5.2457

***

[10]
4
└──

Activity:
Could you work out how many lines further above have the word "the" in them; a number is enough?

Response:
1